Friday, August 22, 2008

Are you 'you' or somebody else ?

I have always wondered what's the true character of a person. Which is why I ask the question in the subject. It has always intrigued me to observe people's behavior and it makes it more interesting to observe this in the presence of different people.

I am sure you will all agree that we are all not the same people everywhere. We react to the same situation differently , depending on the situation/people surrounding us. I'll call this environment henceforth. I have even seen people whose accent changes , depending on whom they are talking to , and this happens sub-consciously.We all suffer MPD (Multiple Personality Disorder) of some sort :)

The important aspect I am trying to figure out is , what percentage of our character is well and truly ours? What number is theoretically a good one ? Or , is it valid to define one in the first place?

There are two possibilities , you are inclined to either being yourself or being well adapted to the environment. If you are the former , you are generally more confident with yourself , take quick decisions (the decisions may not all be right), you are more satisfied with yourself and are unperturbed by criticism from the environment. The latter category are liked well by a lot of people , satisfy others needs, can keep everybody happy , but at some point reach a stage where they are not happy with themselves.
I don't know where I fall , but a gut feeling tells me I am in the latter (not that I am unhappy with myself :-P) .

So the 'character' word , I feel , has got so much to do with the environment. Nobody seems to have an absolute pure character. When I say pure I don't mean clean , but nascent , unaffected by others.

No two people will react to the same situation , in a similar way. If they do , we tend to call them people with 'similar' characters. Let us not consider the similar character case. Dissimilar characters will definitely react differently , but some reactions are not welcome by the majority of the people and these guys get categorized as the insane/absurd or just a strange person. People should probably look at the positive aspect and say " This guy is different , he lives for himself , does not care or does not know about what is right or wrong with the others ".

Others who react to the taste of the people are probably consciously satisfying the taste of the environment , they may not be true to themselves or to you. You never know. The world is a strange place , with a lot of strange people , thinking not only their minds but also recursively reading other minds and giving reactions which may be pseudo-genuine. Just enjoy every body's company , grab the positives and live your life. That's the mantra for joy.

== Data records that have nothing to do with the entry ==
____________
K3BaZr: optimized geometry, PBE.

The structure in POSCAR format:
```
K3BaZr
1.0
6.845 0.000 0.000
0.000 6.845 0.000
0.000 0.000 6.845
K Ba Zr
3 1 1
direct
0.000 0.500 0.000
0.000 0.000 0.500
0.500 0.000 0.000
0.500 0.500 0.500
0.000 0.000 0.000
```

Output
* SG: Pm-3m, No. 221
* energy relative to the elements: 978.8 meV/atom
* energy above the most stable polymorph in this dataset: 0.000 eV/atom
* total magnetization: 4.817 μB/cell



KBaZr: optimized geometry, PBE.

The structure in POSCAR format:
```
KBaZr
1.0
9.930 -0.008 0.000
8.626 4.918 0.000
-9.278 -2.455 2.548
Ba K Zr
1 1 1
direct
0.024 0.024 0.000
0.318 0.318 0.000
0.658 0.658 0.000
```

Output
* SG: I4mm, No. 107
* energy relative to the elements: 720.8 meV/atom
* energy above the most stable polymorph in this dataset: 0.443 eV/atom
* total magnetization: 0.918 μB/cell



KBaZr: optimized geometry, PBE.

The structure in POSCAR format:
```
KBaZr
1.0
-1.024 0.464 6.101
-5.242 -2.243 2.444
0.163 -5.073 3.567
Ba K Zr
1 1 1
direct
0.000 0.000 0.000
0.500 0.500 0.500
0.750 0.750 0.750
```

Output
* SG: F-43m, No. 216
* energy relative to the elements: 1270.2 meV/atom
* energy above the most stable polymorph in this dataset: 0.992 eV/atom
* total magnetization: 4.788 μB/cell



KBaZr2: optimized geometry, PBE.

The structure in POSCAR format:
```
KBaZr2
1.0
-6.288 -1.546 2.806
3.924 -4.346 -3.939
1.448 -1.089 2.644
Ba K Zr
1 1 2
direct
0.500 0.000 0.500
0.000 0.500 0.500
0.000 0.000 0.000
0.500 0.500 0.000
```

Output
* SG: Cmmm, No. 65
* energy relative to the elements: 957.8 meV/atom
* energy above the most stable polymorph in this dataset: 0.520 eV/atom
* total magnetization: 0.933 μB/cell



Ba3La: optimized geometry, PBE.

The structure in POSCAR format:
```
Ba3La
1.0
-3.823 -1.378 1.071
0.329 -3.102 -2.817
4.996 -7.226 8.541
Ba La
3 1
direct
0.000 0.000 0.975
0.500 0.500 0.250
0.000 0.000 0.525
0.500 0.500 0.750
```

Output
* SG: P4/mmm, No. 123
* energy relative to the elements: 125.9 meV/atom
* energy above the most stable polymorph in this dataset: 0.004 eV/atom
* total magnetization: 0.000 μB/cell



Ba2La: optimized geometry, PBE.

The structure in POSCAR format:
```
Ba2La
1.0
-7.524 0.156 -0.897
3.119 -4.730 5.034
-0.887 9.004 9.010
Ba La
8 4
direct
0.000 0.000 0.000
0.000 0.000 0.500
0.827 0.654 0.250
0.173 0.346 0.750
0.346 0.173 0.250
0.827 0.173 0.250
0.173 0.827 0.750
0.654 0.827 0.750
0.333 0.667 0.033
0.667 0.333 0.533
0.667 0.333 0.967
0.333 0.667 0.467
```

Output
* SG: P6_3/mmc, No. 194
* energy relative to the elements: 415.1 meV/atom
* energy above the most stable polymorph in this dataset: 0.286 eV/atom
* total magnetization: 4.467 μB/cell



BaLa2: optimized geometry, PBE.

The structure in POSCAR format:
```
BaLa2
1.0
-4.546 -2.454 1.850
4.161 -3.302 5.845
-2.227 9.268 6.822
Ba La
4 8
direct
0.250 0.623 0.414
0.750 0.877 0.914
0.250 0.123 0.086
0.750 0.377 0.586
0.250 0.125 0.739
0.750 0.375 0.239
0.250 0.625 0.761
0.750 0.875 0.261
0.250 0.106 0.419
____________

PS: If it were so easy to follow , my life wouldn't suck ;-)

Now , what do you think about me ? Until next time...


I am Madhu said...

I think you are one who can adjust to your environment and yet be yourself.

But in general, i had couple of things to add/supplement this article.

1. Let us consider people who change to their environment (the set you refer to as "makes others happy, but personally might be unhappy"). Well this is quite true. But what if this "changing nature" is his true nature. What if the person's character is to change his personality to the environment like a chameleon?(some one like u ;) ). Cant he be happy then?

2. Regarding characters, I for one believe that we all are here to play our characters in the drama staged by God.

Nice article!

Balakrishna said...

1. It is quite possible that the person's character keeps changing and that is his/her character. He/She will probably be happy if it is , until they reach a point in life where they think who am I ? What is special about me ? And what is , my 'character' ?

2. Completely agree. Play your part , and leave. Do no more or less.